• Activity:
The reader should transcribe every line further below that contains the word "ScIrPd3".
• Excerpt:
┌──
{
  "formula": "ScIrPd3",
  "functional": "PBE",
  "state": "optimized geometry",
  "e_above_lowest_polymorph_mev_per_atom": 207.8,
  "delta_e_f_kj_per_mol_fu": 440,
  "spacegroup": "Pm-3m (221)",
  "lattice": [[-1.432, 2.689, 3.461], [-4.075, 0.523, -2.093], [-1.614, -3.708, 2.214]],
  "species": ["Sc", "Ir", "Pd", "Pd", "Pd"],
  "fractional_positions": [[0.000, 0.000, 0.000], [0.500, 0.500, 0.500], [0.000, 0.500, 0.000], [0.000, 0.000, 0.500], [0.500, 0.000, 0.000]]
}


# CaYHg4 (PBE-GGA, optimized geometry)
# Offset from the most stable computed form in eV per atom: 0.180
# ΔH_f (0 K) in meV/atom: -248.4
data_CaYHg4
_cell_length_a 5.995
_cell_length_b 5.995
_cell_length_c 5.995
_cell_angle_alpha 60.00
_cell_angle_beta 60.00
_cell_angle_gamma 60.00
_space_group_name_H-M_alt 'P 1'
_space_group_IT_number 1
_space_group_name_Hall 'P 1'
loop_
_atom_site_label
_atom_site_fract_x
_atom_site_fract_y
_atom_site_fract_z
Ca1 0.000 0.000 0.000
Y1 0.750 0.750 0.750
Hg1 0.874 0.375 0.375
Hg2 0.375 0.375 0.874
Hg3 0.375 0.874 0.375
Hg4 0.375 0.375 0.375

***

# PmSm2Ho3Se6 (PBE-GGA, optimized geometry)
# Energy relative to the elements, uncorrected in meV/atom: -1778
data_PmSm2Ho3Se6
_cell_length_a 7.098
_cell_length_b 7.098
_cell_length_c 7.212
_cell_angle_alpha 99.42
_cell_angle_beta 99.42
_cell_angle_gamma 120.31
_space_group_name_H-M_alt 'P 1'
_space_group_IT_number 1
_space_group_name_Hall 'P 1'
loop_
_atom_site_label
_atom_site_fract_x
_atom_site_fract_y
_atom_site_fract_z
Pm1 0.000 0.000 0.000
Sm1 0.334 0.666 0.000
Sm2 0.666 0.334 0.000
Ho1 0.166 0.834 0.500
Ho2 0.834 0.166 0.500
Ho3 0.500 0.500 0.500
Se1 0.913 0.578 0.738
Se2 0.753 0.753 0.261
Se3 0.087 0.422 0.262
Se4 0.578 0.913 0.738
Se5 0.247 0.247 0.739
Se6 0.422 0.087 0.262

***

# Li2GaPd2 (PBE-GGA, optimized geometry)
# Offset from the most stable computed form in eV per atom: 0.162
# ΔH_f (0 K) in meV/atom: -410.1
data_Li2GaPd2
_cell_length_a 6.859
_cell_length_b 6.859
_cell_length_c 2.893
_cell_angle_alpha 90.00
_cell_angle_beta 90.00
_cell_angle_gamma 90.00
_space_group_name_H-M_alt 'P 1'
_space_group_IT_number 1
_space_group_name_Hall 'P 1'
loop_
_atom_site_label
_atom_site_fract_x
_atom_site_fract_y
_atom_site_fract_z
Ga1 0.000 0.000 0.000
Ga2 0.500 0.500 0.000
Pd1 0.186 0.686 0.500
Pd2 0.686 0.814 0.500
Pd3 0.814 0.314 0.500
Pd4 0.314 0.186 0.500
Li1 0.383 0.883 0.000
Li2 0.883 0.617 0.000
Li3 0.617 0.117 0.000
Li4 0.117 0.383 0.000

***

# Er8FePt2 (PBE-GGA, optimized geometry)
# ΔH_f (0 K) in meV/atom: -398.4
data_Er8FePt2
_cell_length_a 5.917
_cell_length_b 7.500
_cell_length_c 7.500
_cell_angle_alpha 112.35
_cell_angle_beta 101.30
_cell_angle_gamma 101.30
_space_group_name_H-M_alt 'P 1'
_space_group_IT_number 1
_space_group_name_Hall 'P 1'
loop_
_atom_site_label
_atom_site_fract_x
_atom_site_fract_y
_atom_site_fract_z
Fe1 0.165 0.997 0.997
Pt1 0.484 0.693 0.322
Pt2 0.484 0.322 0.693
Er1 0.579 0.339 0.084
Er2 0.579 0.084 0.339
Er3 0.169 0.351 0.351
Er4 0.991 0.204 0.794
Er5 0.991 0.794 0.204
Er6 0.808 0.650 0.650
Er7 0.374 0.927 0.673
Er8 0.374 0.673 0.927

***

# Nd15Er4Tm (PBE-GGA, optimized geometry)
# ΔH_f (0 K) in meV/atom: 10.2
data_Nd15Er4Tm
_cell_length_a 5.147
_cell_length_b 5.147
_cell_length_c 25.617
_cell_angle_alpha 90.00
_cell_angle_beta 90.00
_cell_angle_gamma 90.00
_space_group_name_H-M_alt 'P 1'
_space_group_IT_number 1
_space_group_name_Hall 'P 1'
loop_
_atom_site_label
_atom_site_fract_x
_atom_site_fract_y
_atom_site_fract_z
Nd1 0.500 0.500 0.000
Nd2 0.500 0.500 0.200
Nd3 0.500 0.500 0.400
Nd4 0.500 0.500 0.600
Nd5 0.500 0.500 0.800
Nd6 0.500 0.000 0.100
Nd7 0.500 0.000 0.300
Nd8 0.500 0.000 0.500
Nd9 0.500 0.000 0.700
Nd10 0.500 0.000 0.900
Nd11 0.000 0.500 0.100
Nd12 0.000 0.500 0.300
Nd13 0.000 0.500 0.500
Nd14 0.000 0.500 0.700
Nd15 0.000 0.500 0.900
Er1 0.000 0.000 0.200
Er2 0.000 0.000 0.400
Er3 0.000 0.000 0.600
Er4 0.000 0.000 0.800
Tm1 0.000 0.000 0.000

***

# NaMg6CO8 (PBE-GGA, optimized geometry)
└──
• Here it is:
  "formula": "ScIrPd3",